[Source]
'''
Record 1
## YB4Rh7 (PBE)

Data for YB4Rh7 after structural relaxation.

The electronic total energy is -7.3991 eV/atom. The calculation puts the density at 9.13 Mg/m³. The calculation puts the formation energy at -32.6 kJ per mole of atoms.

The space group is Pmm2 (No. 25) and the conventional cell measures 2.9141, 9.6059 and 5.5377 Å, with angles of 90.00, 90.00 and 90.00 degrees. Symmetry generates all atoms from Y at (0.0000, 0.0000, 0.0000), B at (0.0000, 0.1672, 0.4997), B at (0.0000, 0.3338, 0.0003), Rh at (0.0000, 0.5000, 0.4997), Rh at (0.5000, 0.0000, 0.4968), Rh at (0.5000, 0.2495, 0.7506), Rh at (0.5000, 0.2539, 0.2540) and Rh at (0.5000, 0.5000, 0.9944).

Record 2
## SrNb4O6 (PBE)

Data for SrNb4O6 after structural relaxation.

The electronic total energy is -8.8573 eV/atom. The calculation puts the density at 6.32 Mg/m³. The calculation puts the formation energy at -261.1 kJ per mole of atoms.

The space group is P4/mmm (No. 123) and the conventional cell measures 4.2159, 4.2159 and 16.4125 Å, with angles of 90.00, 90.00 and 90.00 degrees. Symmetry generates all atoms from Sr at (0.0000, 0.0000, 0.1245), Nb at (0.0000, 0.5000, 0.3685), Nb at (0.5000, 0.5000, 0.0000), Nb at (0.5000, 0.5000, 0.2477), Nb at (0.5000, 0.5000, 0.5000), O at (0.0000, 0.0000, 0.3701), O at (0.0000, 0.5000, 0.0000), O at (0.0000, 0.5000, 0.2380), O at (0.0000, 0.5000, 0.5000) and O at (0.5000, 0.5000, 0.1197).

Record 3
## YAl3 (PBE)

Data for YAl3 after structural relaxation.

The electronic total energy is -4.8637 eV/atom. The calculation puts the density at 3.57 Mg/m³. The calculation puts the formation energy at -42.2 kJ per mole of atoms.

The space group is P6_3/mmc (No. 194) and the conventional cell measures 6.2741, 6.2741 and 4.6319 Å, with angles of 90.00, 90.00 and 120.00 degrees. Symmetry generates all atoms from Y at (0.3333, 0.6667, 0.2500) and Al at (0.1464, 0.2928, 0.7500).

Record 4
## InCuO2 (PBE)

Data for InCuO2 after structural relaxation.

The electronic total energy is -5.3277 eV/atom. The calculation puts the density at 6.14 Mg/m³. The calculation puts the formation energy at -143.2 kJ per mole of atoms.

The space group is P6_3/mmc (No. 194) and the conventional cell measures 3.3598, 3.3598 and 11.6435 Å, with angles of 90.00, 90.00 and 120.00 degrees. Symmetry generates all atoms from In at (0.0000, 0.0000, 0.0000), Cu at (0.3333, 0.6667, 0.2500) and O at (0.3333, 0.6667, 0.0913).

Record 5
## Cu3AsSe4 (PBE)

Data for Cu3AsSe4 after structural relaxation.

The electronic total energy is -4.0153 eV/atom. The calculation puts the density at 5.49 Mg/m³. The calculation puts the formation energy at -37.0 kJ per mole of atoms.

The space group is I-42m (No. 121) and the conventional cell measures 5.6212, 5.6212 and 11.1400 Å, with angles of 90.00, 90.00 and 90.00 degrees. Symmetry generates all atoms from Cu at (0.0000, 0.0000, 0.0000), Cu at (0.0000, 0.5000, 0.2500), As at (0.0000, 0.0000, 0.5000) and Se at (0.2455, 0.2455, 0.1310).

Record 6
## BaThBr6 (PBE)

Data for BaThBr6 after structural relaxation.

The electronic total energy is -4.2571 eV/atom. The calculation puts the density at 4.95 Mg/m³. The calculation puts the formation energy at -218.4 kJ per mole of atoms.

The space group is Pmma (No. 51) and the conventional cell measures 9.6695, 4.3876 and 13.4209 Å, with angles of 90.00, 90.00 and 90.00 degrees. Symmetry generates all atoms from Ba at (0.2500, 0.0000, 0.2358), Th at (0.2500, 0.5000, 0.7487), Br at (0.0324, 0.5000, 0.3462), Br at (0.0817, 0.0000, 0.8502), Br at (0.2500, 0.0000, 0.5995) and Br at (0.2500, 0.5000, 0.0684).

* * * * *

1.
This record from Materials Project describes a geometry-optimized TbTlP2Se6 structure. The functional is GGA-PBE.

ΔH_f (0 K) ... -9.2 eV/f.u.

The structure in CIF format:
```
data_TbTlP2Se6
_cell_length_a 6.883
_cell_length_b 7.674
_cell_length_c 10.414
_cell_angle_alpha 90.00
_cell_angle_beta 91.08
_cell_angle_gamma 90.00
'''

[Wanted]
Please set down all of the block earlier on character by character.

[Result]
Record 1
## YB4Rh7 (PBE)

Data for YB4Rh7 after structural relaxation.

The electronic total energy is -7.3991 eV/atom. The calculation puts the density at 9.13 Mg/m³. The calculation puts the formation energy at -32.6 kJ per mole of atoms.

The space group is Pmm2 (No. 25) and the conventional cell measures 2.9141, 9.6059 and 5.5377 Å, with angles of 90.00, 90.00 and 90.00 degrees. Symmetry generates all atoms from Y at (0.0000, 0.0000, 0.0000), B at (0.0000, 0.1672, 0.4997), B at (0.0000, 0.3338, 0.0003), Rh at (0.0000, 0.5000, 0.4997), Rh at (0.5000, 0.0000, 0.4968), Rh at (0.5000, 0.2495, 0.7506), Rh at (0.5000, 0.2539, 0.2540) and Rh at (0.5000, 0.5000, 0.9944).

Record 2
## SrNb4O6 (PBE)

Data for SrNb4O6 after structural relaxation.

The electronic total energy is -8.8573 eV/atom. The calculation puts the density at 6.32 Mg/m³. The calculation puts the formation energy at -261.1 kJ per mole of atoms.

The space group is P4/mmm (No. 123) and the conventional cell measures 4.2159, 4.2159 and 16.4125 Å, with angles of 90.00, 90.00 and 90.00 degrees. Symmetry generates all atoms from Sr at (0.0000, 0.0000, 0.1245), Nb at (0.0000, 0.5000, 0.3685), Nb at (0.5000, 0.5000, 0.0000), Nb at (0.5000, 0.5000, 0.2477), Nb at (0.5000, 0.5000, 0.5000), O at (0.0000, 0.0000, 0.3701), O at (0.0000, 0.5000, 0.0000), O at (0.0000, 0.5000, 0.2380), O at (0.0000, 0.5000, 0.5000) and O at (0.5000, 0.5000, 0.1197).

Record 3
## YAl3 (PBE)

Data for YAl3 after structural relaxation.

The electronic total energy is -4.8637 eV/atom. The calculation puts the density at 3.57 Mg/m³. The calculation puts the formation energy at -42.2 kJ per mole of atoms.

The space group is P6_3/mmc (No. 194) and the conventional cell measures 6.2741, 6.2741 and 4.6319 Å, with angles of 90.00, 90.00 and 120.00 degrees. Symmetry generates all atoms from Y at (0.3333, 0.6667, 0.2500) and Al at (0.1464, 0.2928, 0.7500).

Record 4
## InCuO2 (PBE)

Data for InCuO2 after structural relaxation.

The electronic total energy is -5.3277 eV/atom. The calculation puts the density at 6.14 Mg/m³. The calculation puts the formation energy at -143.2 kJ per mole of atoms.

The space group is P6_3/mmc (No. 194) and the conventional cell measures 3.3598, 3.3598 and 11.6435 Å, with angles of 90.00, 90.00 and 120.00 degrees. Symmetry generates all atoms from In at (0.0000, 0.0000, 0.0000), Cu at (0.3333, 0.6667, 0.2500) and O at (0.3333, 0.6667, 0.0913).

Record 5
## Cu3AsSe4 (PBE)

Data for Cu3AsSe4 after structural relaxation.

The electronic total energy is -4.0153 eV/atom. The calculation puts the density at 5.49 Mg/m³. The calculation puts the formation energy at -37.0 kJ per mole of atoms.

The space group is I-42m (No. 121) and the conventional cell measures 5.6212, 5.6212 and 11.1400 Å, with angles of 90.00, 90.00 and 90.00 degrees. Symmetry generates all atoms from Cu at (0.0000, 0.0000, 0.0000), Cu at (0.0000, 0.5000, 0.2500), As at (0.0000, 0.0000, 0.5000) and Se at (0.2455, 0.2455, 0.1310).

Record 6
## BaThBr6 (PBE)

Data for BaThBr6 after structural relaxation.

The electronic total energy is -4.2571 eV/atom. The calculation puts the density at 4.95 Mg/m³. The calculation puts the formation energy at -218.4 kJ per mole of atoms.

The space group is Pmma (No. 51) and the conventional cell measures 9.6695, 4.3876 and 13.4209 Å, with angles of 90.00, 90.00 and 90.00 degrees. Symmetry generates all atoms from Ba at (0.2500, 0.0000, 0.2358), Th at (0.2500, 0.5000, 0.7487), Br at (0.0324, 0.5000, 0.3462), Br at (0.0817, 0.0000, 0.8502), Br at (0.2500, 0.0000, 0.5995) and Br at (0.2500, 0.5000, 0.0684).

* * * * *

1.
This record from Materials Project describes a geometry-optimized TbTlP2Se6 structure. The functional is GGA-PBE.

ΔH_f (0 K) ... -9.2 eV/f.u.

The structure in CIF format:
```
data_TbTlP2Se6
_cell_length_a 6.883
_cell_length_b 7.674
_cell_length_c 10.414
_cell_angle_alpha 90.00
_cell_angle_beta 91.08
_cell_angle_gamma 90.00